_Work order_
Say how many lines of the lines further below hold the word "with", as a bare number, please.

_Contents_
********
Entry from the Open Molecules 2025 dataset: a molecular structure, C3H5N3 (ωB97M-V with the def2-TZVPD basis set).

The geometry in XYZ format:
```
11
C3H5N3 (ωB97M-V with the def2-TZVPD basis set)
N -1.868 -0.405 0.398
C -0.554 -0.358 0.122
N 0.319 -1.316 0.073
N 1.337 -0.283 -0.425
C 1.681 0.882 0.381
C 0.338 0.802 -0.262
H -2.440 0.397 0.195
H -2.325 -1.301 0.476
H 1.721 -0.514 -1.333
H 1.744 0.613 1.436
H 0.046 1.483 -1.060
```

Values from the calculation:
**Kohn-Sham gap**: 0.3102 hartree
**Charge**: 0
**Energy above the lowest of the compared OMol25 structures with the same formula, charge and spin**: 5.239 eV
**HOMO energy**: -7.713 eV

Results of the natural (NBO) charge analysis, in e, for atoms 1 through 4: number 1, N, carries -0.789; number 2, C, carries 0.380; number 3, N, carries -0.372; number 4, N, carries -0.273

***

Entry from the Open Molecules 2025 dataset: 7 unconnected molecules or ions with the total composition C25H43NO18 (ωB97M-V with the def2-TZVPD basis set).

The geometry in XYZ format:
```
87
C25H43NO18 (ωB97M-V with the def2-TZVPD basis set)
C 9.300 13.544 2.022
C 10.572 14.182 2.652
C 10.279 14.667 4.135
O 11.100 13.821 5.007
C 11.913 13.157 4.197
O 12.882 12.517 4.522
O 11.573 13.287 2.835
H 8.585 14.209 1.563
H 8.757 12.895 2.596
H 9.700 13.064 1.147
H 10.891 15.011 2.076
H 9.249 14.532 4.585
H 10.643 15.656 4.363
C 14.909 15.026 7.290
C 15.059 13.460 7.311
C 16.408 12.967 7.916
O 16.055 12.051 8.919
C 14.773 12.095 9.133
O 14.164 11.622 10.130
O 14.130 12.918 8.275
H 15.369 15.532 6.371
H 15.512 15.569 8.105
H 13.872 15.377 7.360
H 14.786 13.104 6.334
H 16.926 13.895 8.321
H 17.044 12.485 7.106
C 14.737 17.276 1.145
C 13.931 16.269 1.928
C 14.783 15.394 2.821
O 14.357 15.563 4.094
C 13.558 16.530 4.137
O 13.024 16.930 5.153
O 13.261 17.035 2.956
H 13.981 17.882 0.558
H 15.513 16.878 0.513
H 15.285 17.906 1.805
H 13.201 15.720 1.319
H 15.888 15.531 2.734
H 14.481 14.324 2.557
C 17.132 12.980 1.498
O 16.977 12.911 2.906
C 16.249 11.876 3.415
O 15.639 10.958 2.537
O 16.147 11.588 4.680
C 15.361 10.469 5.103
H 16.689 12.195 0.838
H 18.130 13.288 1.172
H 16.530 13.844 1.247
H 15.244 10.414 6.232
H 15.962 9.478 4.897
H 14.390 10.396 4.719
C 13.577 12.054 0.176
O 13.813 13.462 -0.085
C 14.795 13.753 -1.063
O 15.511 12.693 -1.472
O 14.966 15.037 -1.507
C 15.785 15.165 -2.718
H 14.396 11.757 0.788
H 13.400 11.540 -0.793
H 12.656 11.978 0.783
H 16.633 14.519 -2.713
H 16.076 16.150 -2.847
H 15.080 14.977 -3.560
C 10.387 18.397 5.304
O 9.069 18.630 5.758
C 8.113 17.848 5.491
O 8.390 16.773 4.674
O 6.894 18.002 5.977
C 6.654 18.983 6.946
H 11.103 19.277 5.228
H 10.371 18.070 4.209
H 10.827 17.725 5.951
H 5.542 19.010 7.172
H 7.097 19.946 6.520
H 7.049 18.806 7.945
C 8.964 17.281 0.381
C 9.263 18.007 1.687
C 10.330 19.025 1.444
C 10.411 20.121 2.432
N 10.432 20.911 3.196
H 9.759 16.903 -0.165
H 8.454 17.946 -0.271
H 8.267 16.475 0.520
H 9.578 17.434 2.511
H 8.497 18.637 2.119
H 10.254 19.486 0.425
H 11.251 18.472 1.337
```

Values from the calculation:
**Kohn-Sham gap**: 0.3740 hartree
**SMILES**: C[C@H]1COC(=O)O1.C[C@H]1COC(=O)O1.C[C@H]1COC(=O)O1.COC(=O)OC.COC(=O)OC.COC(=O)OC.CCCC#N
**Charge**: 0
**Energy above the lowest of the compared OMol25 structures with the same formula, charge and spin**: 5.719 eV
**HOMO energy**: -10.015 eV

Results of the Löwdin charge analysis, in e, for atoms 1 through 4: number 1, C, carries 0.013; number 2, C, carries -0.320; number 3, C, carries -0.033; number 4, O, carries 0.090

***

Entry from the Open Molecules 2025 dataset: 6 unconnected molecules or ions with the total composition C34H82NO23P6S2 (ωB97M-V with the def2-TZVPD basis set).

The geometry in XYZ format:
```
148
C34H82NO23P6S2 (ωB97M-V with the def2-TZVPD basis set)
O 2.853 -3.367 5.480
C 1.979 -4.388 5.402
C 1.622 -5.219 4.019
C 0.108 -4.735 3.511
N -0.684 -4.468 4.770
S -1.327 -2.846 4.846
P 0.205 -3.276 2.283
S 1.594 -1.940 2.755
C -0.598 -6.010 2.748
O -1.019 -5.974 1.453
O -0.798 -7.324 3.435
********

_Written answer_
8